____________
Here is 11 unconnected molecules or ions with the total composition C43H105N3O19 from the Open Molecules 2025 dataset. Energies are from ωB97M-V with the def2-TZVPD basis set.

Last column: Mulliken spin population.
Positions of all 170 atoms, in Å:
C (-2.679, 3.743, 3.919)  0.00
C (-3.092, 2.819, 2.667)  0.00
O (-2.967, 3.664, 1.564)  0.00
O (-3.598, 4.731, 4.144)  0.00
H (-1.730, 4.250, 3.747)  0.00
H (-2.662, 3.257, 4.895)  0.00
H (-4.166, 2.637, 2.673)  0.00
H (-2.631, 1.846, 2.497)  0.00
H (-3.484, 4.439, 1.799)  0.00
H (-3.953, 4.656, 5.033)  0.00
C (-5.351, -4.688, -0.903)  0.00
C (-4.543, -4.436, 0.424)  0.00
O (-3.126, -4.481, 0.320)  0.00
O (-5.137, -6.026, -1.367)  0.00
H (-5.027, -4.091, -1.755)  0.00
H (-6.416, -4.464, -0.955)  0.00
H (-4.779, -5.143, 1.219)  0.00
H (-4.809, -3.477, 0.869)  0.00
H (-2.772, -4.431, 1.211)  0.00
H (-4.308, -6.016, -1.851)  0.00
C (5.288, 1.383, -0.930)  0.00
C (4.651, 0.812, 0.335)  0.00
O (5.410, 0.925, 1.502)  0.00
O (6.433, 0.613, -1.267)  0.00
H (5.598, 2.420, -0.805)  0.00
H (4.740, 1.375, -1.872)  0.00
H (4.296, -0.196, 0.121)  0.00
H (3.766, 1.433, 0.472)  0.00
H (6.095, 0.253, 1.503)  0.00
H (6.050, -0.199, -1.606)  0.00
C (4.321, -1.015, -4.787)  0.00
C (4.331, -1.776, -3.445)  -0.01
O (5.517, -1.522, -2.732)  0.00
O (5.230, -1.590, -5.732)  0.00
H (4.609, 0.016, -4.582)  0.00
H (3.293, -1.102, -5.137)  0.00
H (4.228, -2.861, -3.445)  0.00
H (3.530, -1.376, -2.822)  0.00
H (6.229, -1.962, -3.202)  0.00
H (4.844, -1.370, -6.583)  0.00
C (-2.552, 2.373, -6.415)  0.00
C (-1.390, 1.867, -5.556)  0.00
O (-1.671, 0.598, -4.937)  0.00
O (-2.806, 1.513, -7.525)  0.00
H (-2.320, 3.405, -6.676)  0.00
H (-3.444, 2.470, -5.795)  0.00
H (-1.145, 2.521, -4.719)  0.00
H (-0.473, 1.912, -6.144)  0.00
H (-1.603, -0.115, -5.575)  0.00
H (-2.660, 0.603, -7.258)  0.00
C (3.046, -5.587, 1.570)  0.00
C (3.290, -6.246, 0.182)  0.00
O (2.290, -7.226, -0.087)  0.00
O (3.341, -6.515, 2.602)  0.00
H (2.071, -5.109, 1.668)  0.00
H (3.807, -4.809, 1.639)  0.00
H (4.238, -6.784, 0.210)  0.00
H (3.224, -5.491, -0.601)  0.00
H (2.132, -7.786, 0.677)  0.00
H (2.540, -6.714, 3.093)  0.00
C (-0.069, 5.536, -1.720)  0.00
C (-0.938, 6.075, -0.477)  0.00
O (-1.182, 7.457, -0.555)  0.00
O (-0.761, 5.222, -2.908)  0.00
H (0.583, 4.693, -1.488)  0.00
H (0.601, 6.324, -2.066)  0.00
H (-0.237, 6.201, 0.348)  0.00
H (-1.840, 5.508, -0.244)  0.00
H (-1.602, 7.754, 0.256)  0.00
H (-1.548, 4.719, -2.684)  0.00
C (4.520, 4.687, -2.823)  0.00
C (3.249, 3.845, -2.849)  0.00
O (3.259, 2.784, -3.802)  0.00
O (5.643, 4.016, -3.283)  0.00
H (4.680, 5.194, -1.871)  0.00
H (4.336, 5.418, -3.610)  0.00
H (2.385, 4.509, -2.872)  0.00
H (3.243, 3.429, -1.842)  0.00
H (3.204, 3.216, -4.658)  0.00
H (5.425, 3.525, -4.078)  0.00
C (-8.031, 2.721, -0.006)  0.00
C (-6.504, 2.647, -0.158)  0.00
C (-5.937, 1.498, 0.765)  0.00
C (-6.184, 0.084, 0.320)  0.00
C (-5.591, -0.041, -1.072)  0.00
C (-5.991, 1.070, -2.090)  0.00
N (-5.954, 2.441, -1.492)  0.00
O (-6.365, 3.412, -2.399)  0.00
C (-4.892, 1.007, -3.209)  0.00
C (-7.361, 0.782, -2.776)  0.00
C (-5.989, 3.975, 0.393)  0.00
H (-8.450, 1.747, -0.255)  0.00
H (-8.459, 3.443, -0.701)  0.00
H (-8.335, 3.033, 0.993)  0.00
H (-4.849, 1.517, 0.836)  0.00
H (-6.344, 1.604, 1.770)  0.00
H (-7.256, -0.099, 0.252)  0.00
H (-5.663, -0.548, 1.039)  0.00
H (-5.786, -1.075, -1.356)  0.00
H (-4.507, -0.043, -0.961)  0.00
H (-4.069, 1.518, -2.709)  0.00
H (-4.549, -0.017, -3.355)  0.00
H (-5.088, 1.424, -4.197)  0.00
H (-7.344, -0.135, -3.366)  0.00
H (-8.105, 0.711, -1.982)  0.00
H (-7.610, 1.608, -3.441)  0.00
H (-6.526, 4.853, 0.036)  0.00
H (-4.974, 4.190, 0.058)  0.00
H (-5.892, 3.908, 1.477)  0.00
H (-7.283, 3.156, -2.508)  0.00
C (1.697, -2.613, -0.151)  0.09
C (0.630, -1.780, -0.786)  -0.08
C (-0.671, -2.015, 0.107)  0.02
C (-1.817, -1.011, -0.087)  -0.02
C (-1.165, 0.360, 0.329)  0.04
C (0.106, 0.810, -0.425)  -0.07
N (0.974, -0.350, -0.688)  0.76
O (2.168, 0.037, -1.300)  0.04
____________

Retype the part of the entries further above that starts with the line with "-5.556)" and stops after the one with "0.036)".

C (-1.390, 1.867, -5.556)  0.00
O (-1.671, 0.598, -4.937)  0.00
O (-2.806, 1.513, -7.525)  0.00
H (-2.320, 3.405, -6.676)  0.00
H (-3.444, 2.470, -5.795)  0.00
H (-1.145, 2.521, -4.719)  0.00
H (-0.473, 1.912, -6.144)  0.00
H (-1.603, -0.115, -5.575)  0.00
H (-2.660, 0.603, -7.258)  0.00
C (3.046, -5.587, 1.570)  0.00
C (3.290, -6.246, 0.182)  0.00
O (2.290, -7.226, -0.087)  0.00
O (3.341, -6.515, 2.602)  0.00
H (2.071, -5.109, 1.668)  0.00
H (3.807, -4.809, 1.639)  0.00
H (4.238, -6.784, 0.210)  0.00
H (3.224, -5.491, -0.601)  0.00
H (2.132, -7.786, 0.677)  0.00
H (2.540, -6.714, 3.093)  0.00
C (-0.069, 5.536, -1.720)  0.00
C (-0.938, 6.075, -0.477)  0.00
O (-1.182, 7.457, -0.555)  0.00
O (-0.761, 5.222, -2.908)  0.00
H (0.583, 4.693, -1.488)  0.00
H (0.601, 6.324, -2.066)  0.00
H (-0.237, 6.201, 0.348)  0.00
H (-1.840, 5.508, -0.244)  0.00
H (-1.602, 7.754, 0.256)  0.00
H (-1.548, 4.719, -2.684)  0.00
C (4.520, 4.687, -2.823)  0.00
C (3.249, 3.845, -2.849)  0.00
O (3.259, 2.784, -3.802)  0.00
O (5.643, 4.016, -3.283)  0.00
H (4.680, 5.194, -1.871)  0.00
H (4.336, 5.418, -3.610)  0.00
H (2.385, 4.509, -2.872)  0.00
H (3.243, 3.429, -1.842)  0.00
H (3.204, 3.216, -4.658)  0.00
H (5.425, 3.525, -4.078)  0.00
C (-8.031, 2.721, -0.006)  0.00
C (-6.504, 2.647, -0.158)  0.00
C (-5.937, 1.498, 0.765)  0.00
C (-6.184, 0.084, 0.320)  0.00
C (-5.591, -0.041, -1.072)  0.00
C (-5.991, 1.070, -2.090)  0.00
N (-5.954, 2.441, -1.492)  0.00
O (-6.365, 3.412, -2.399)  0.00
C (-4.892, 1.007, -3.209)  0.00
C (-7.361, 0.782, -2.776)  0.00
C (-5.989, 3.975, 0.393)  0.00
H (-8.450, 1.747, -0.255)  0.00
H (-8.459, 3.443, -0.701)  0.00
H (-8.335, 3.033, 0.993)  0.00
H (-4.849, 1.517, 0.836)  0.00
H (-6.344, 1.604, 1.770)  0.00
H (-7.256, -0.099, 0.252)  0.00
H (-5.663, -0.548, 1.039)  0.00
H (-5.786, -1.075, -1.356)  0.00
H (-4.507, -0.043, -0.961)  0.00
H (-4.069, 1.518, -2.709)  0.00
H (-4.549, -0.017, -3.355)  0.00
H (-5.088, 1.424, -4.197)  0.00
H (-7.344, -0.135, -3.366)  0.00
H (-8.105, 0.711, -1.982)  0.00
H (-7.610, 1.608, -3.441)  0.00
H (-6.526, 4.853, 0.036)  0.00